[Math] Fulfilling Pythagoras’ Dream using Nonstandard Models of Arithmetic and/or Surreal Numbers


Pythagoras and his followers believed that the Universe was made of numbers. Specifically, they thought that if you compared any magnitudes of the same kind, say the lengths of two objects, you would always get a whole number ratio. Then someone came up with a proof that the side length of a square and its diagonal are not in a whole number ratio, thereby demonstrating that space could not be completely described by Number. This seemed catastrophic for the Pythagoreans, but then mathematicians eventually grew to accept "irrational" numbers, and the rest is history.

But I'm curious how things would work out if Pythagoras and his peers had chosen to take a different route, one in which they didn't have to give up their dream of directly characterizing all magnitudes using whole numbers. The standard proof of sqrt(2) being irrational goes like this: suppose that sqrt(2)=a/b, where a and b contain no common factors. Then we show that a and b must have a common factor of 2. But what if the fraction a/b could NOT be written in simplest terms, but instead you could keep dividing a and b by 2 and never get them to be coprime? Then you'd be able to construct an infinite descending sequence of natural numbers, which contradicts the well-ordering principle/mathematical induction.

So I'm trying to find a nonstandard model of arithmetic in which, among other things, sqrt(2) is rational. Countable nonstandard models of PA are not well-ordered, which is what I want, but first order induction is still sufficient to prove that sqrt(2) is irrational. So we would have to find nonstandard models of a weaker system, like Robinson's Q. Q also has the advantage of having computable nonstandard models. So I want to find a nonstandard model of Q, let's call it S, and then construct the real numbers using ordered pairs of elements of S. But the least upper bound axiom of the real numbers is actually sufficient to prove second-order induction for the natural numbers. So the system of real numbers I'm constructing should not satisfy LUB; it should only satisfy the first-order properties of the real numbers.

So to sum up: I want a nonstandard model S of Robinson Arithmetic which is not well-ordered, and such that we can define operations on S^2 which would make S^2 a nonstandard model of the first-order theory of real closed fields. (EDIT: As François said, a simpler way to say this is that I want the field of fractions of S to be real closed.) Is that even possible, and if so would S even be a computable nonstandard model?

____________
No. 1
This record from the Alexandria database describes PtRh2S2 after structural relaxation. The functional is PBE.

Unit cell a=6.794 b=6.794 c=3.155 alpha=90.00 beta=90.00 gamma=90.00
Fractional coordinates of all 10 atoms:
Pt 0.000 0.000 0.000
Pt 0.500 0.500 0.000
Rh 0.152 0.348 0.500
Rh 0.348 0.848 0.500
Rh 0.652 0.152 0.500
Rh 0.848 0.652 0.500
S 0.159 0.659 0.000
S 0.341 0.159 0.000
S 0.659 0.841 0.000
S 0.841 0.341 0.000

Output
formation energy (no corrections)	0.13	eV/atom
space group	No. 127
density	10.605	g/cm³
E above lowest polymorph	132.3	meV per atom

No. 2
This record from the Alexandria database describes PtRhS3 after structural relaxation. The functional is PBE.

Unit cell a=4.580 b=4.580 c=4.580 alpha=90.00 beta=90.00 gamma=90.00
Fractional coordinates of all 5 atoms:
Pt 0.000 0.000 0.000
Rh 0.500 0.500 0.500
S 0.000 0.500 0.500
S 0.500 0.000 0.500
S 0.500 0.500 0.000

Output
formation energy (no corrections)	0.89	eV/atom
space group	No. 221
density	6.812	g/cm³
E above lowest polymorph	1161.6	meV per atom
____________
## Back to the text

I've been thinking about this problem a while, and I think Conway's Surreal Numbers might be promising. The analogue of the integers for Surreal numbers are called Omnific integers. Omnific integers are not well-ordered, and it turns out that you can find Omnific integers a and b such that a^2=2b^2, which are both hopeful signs. And even better, the set of ratios of Omnific integers actually satisfies the first-order theory of real closed fields! If Omnfic integers really do satisfy all the properties I want, then I have a few questions about them. Do they constitute a nonstandard model of Robinson arithmetic? Does there exist an axiomatization of them in first order logic? In other words, can we define them alone, without resorting to the full-blown definition (which involves set theory) of the Surreal numbers? On a related note, can they even be put in a set, or do they form a proper class? I think the latter may be true, in which case I may have to find some subclass of the Omnific integers which is an actual set (because I think it may not be legitimate to take the Cartesian product of proper classes). But in that case, will that subclass still satisfy all the properties I want?

Any help would be greatly appreciated.
Thank You in Advance.

Best Answer

First note that the axioms of Robinson Arithmetic are usually straightforward to verify in any structure. Surely the nonnegative omnific integers satisfy these basic axioms. Note that a nonstandard model of Robinson Arithmetic cannot be wellordered because of the axiom which says that every nonzero element has an immediate predecessor.

You can push a little farther than Robinson Arithmetic and still have recursive models. Open induction is the statement that induction holds for quantifier-free formulas (in the language of Robinson Arithmetic). Shepherdson (A non-standard model for a free variable fragment of number theory, MR161798) has shown that there are recursive models of open induction too. Furthermore, he showed that one can get such models where $\sqrt2$ is rational, for example. I described Shepherdson's construction in my previous answers here and here. In this construction, the field of fractions of the model is not necessarily real closed, but if my memory serves correctly there is a variant of the construction does do that.